Data
┌──
Entry from OMol25: a 2-piece molecular cluster, C4H6NO2 overall in a non-equilibrium geometry (ωB97M-V/def2-TZVPD).

Structure (XYZ):
```
13
Properties=species:S:1:pos:R:3:forces:R:3
C 1.61243 -0.58852 -0.08197 -1.23 -1.06 0.88
C 2.97075 -0.86204 0.17455 0.85 0.28 -1.63
C 1.17717 0.73497 -0.22965 0.31 0.45 0.89
C -3.01478 -0.16946 0.01366 0.66 -0.07 -2.61
N 0.90289 1.84458 0.01979 -0.54 0.12 -1.09
O 0.48914 3.02781 -0.13003 0.24 -0.22 0.30
O 3.93829 -0.10182 -0.10467 -0.87 -0.76 0.86
H 0.77202 -1.31117 0.18191 1.45 0.75 -0.35
H 3.20741 -1.91911 0.48028 -0.24 0.44 0.16
H -2.55378 0.37226 0.80506 -0.35 0.01 1.11
H -3.54711 0.50761 -0.65459 0.53 0.58 -0.13
H -3.77770 -0.91008 0.08416 -0.26 -0.84 1.43
H -2.17673 -0.62504 -0.55849 -0.55 0.33 0.19
```
Forces are in eV/Å.

Results
E_LUMO in eV: 3.60
Total charge: -1
Kohn-Sham gap in eV: 6.64
Energy relative to the best compared isomer or geometry (same formula, charge and spin) in kcal per mole: 83.8

Listed below, in e, are the Löwdin charges computed for each atom: number 1, C, carries -0.182; number 2, C, carries -0.432; number 3, C, carries -0.087; number 4, C, carries -0.046; number 5, N, carries -0.131; number 6, O, carries -0.183; number 7, O, carries -0.137; number 8, H, carries 0.070; number 9, H, carries 0.084; number 10, H, carries 0.010; number 11, H, carries 0.011; number 12, H, carries -0.005; number 13, H, carries 0.027

~~~~~

Entry 1:
Molecular formula: C3H9N2O
Method: DFT, ωB97M-V/def2-TZVPD

The HOMO energy (alpha / beta) is -3.139 / -10.419 eV. The expectation value of S² is 0.751. The calculation puts the LUMO energy (alpha / beta) at 0.0219 / 0.0144 Eh. The molar mass is 89.12 g/mol. For the frontier orbital gap (alpha / beta), the calculation gives 3.73 / 10.81 eV. The multiplicity is 2. The value obtained for the relative energy (zero: lowest compared OMol25 entry of this formula, charge and spin) is 250.69 kJ/mol.

XYZ file:
```
15
Properties=species:S:1:pos:R:3:forces:R:3
O 0.273975 1.938626 0.412856 -2.8 -0.5 1.2
N 1.289194 0.397227 -0.956043 1.4 -1.7 -0.3
N -1.400240 0.812809 1.496840 -2.0 -2.3 -0.3
C -0.027061 -1.491738 -0.115505 1.4 -3.1 -1.0
C -0.052518 -0.090408 -0.622744 -0.7 0.6 2.4
C -0.514386 0.951503 0.483124 3.5 1.4 -0.9
H 0.882788 -1.728814 0.515257 -0.8 0.2 -1.1
H 1.325288 1.271857 -1.431377 -0.7 1.2 -1.6
H -1.525710 1.607205 2.104098 0.1 0.0 -0.1
H -0.786845 -1.557448 0.568919 -2.1 -0.2 1.9
H -0.316691 -2.423488 -0.835633 1.3 2.5 1.1
H -0.629024 -0.035738 -1.511552 -0.7 0.3 -1.0
H -2.107015 -0.002915 1.629800 2.0 2.1 -0.7
H 1.713310 -0.363109 -1.589755 0.3 0.7 0.3
H 1.874933 0.714430 -0.148284 -0.2 -1.2 0.1
```
Positions in Å, forces in eV/Å.


Entry 2:
Molecular formula: C3H10N3
Method: DFT, ωB97M-V/def2-TZVPD

The HOMO energy is -13.010 eV. The calculation puts the LUMO energy at -0.1341 Eh. The molar mass is 88.13 g/mol. For the frontier orbital gap, the calculation gives 9.36 eV. The charge is +1. The value obtained for the relative energy (zero: lowest compared OMol25 entry of this formula, charge and spin) is 488.75 kJ/mol.

XYZ file:
```
16
Properties=species:S:1:pos:R:3:forces:R:3
N 1.727623 -0.285732 -0.158134 0.5 0.5 -1.2
N 1.987603 0.930118 -0.282460 0.2 1.8 -0.4
N -1.394444 -0.566674 -0.712549 -1.6 -1.9 0.6
C 0.949863 -0.836355 0.706991 1.6 -0.6 0.3
C -2.550140 -0.451166 0.241700 0.5 -0.3 -0.6
C 2.852651 1.871718 -0.301938 -0.4 -1.3 1.7
H -2.286693 -0.883627 1.191780 0.2 -0.5 0.1
H -1.525937 -1.470228 -1.192333 1.4 0.1 0.5
H 0.910664 -0.510129 1.708598 -0.6 0.9 1.2
H -2.531878 0.582368 0.367227 -1.2 1.8 0.6
H 0.968109 -1.878101 0.550817 -0.6 -1.3 0.0
H -3.460129 -0.892458 -0.170720 0.2 0.4 0.1
H 2.460560 2.841326 -0.590035 0.4 -0.1 -0.3
H -1.387006 0.082748 -1.436857 -0.7 1.8 -1.7
H 3.814127 1.782715 0.256622 -0.5 0.0 -0.8
H -0.534972 -0.316523 -0.178708 0.6 -1.5 -0.1
```
Positions in Å, forces in eV/Å.


Entry 3:
Molecular formula: C4H7B3ClHfNO7
Method: DFT, ωB97M-V/def2-TZVPD
└──
What to do
It remains to print all of the calculation results above without additions.
Worked solution
Entry from OMol25: a 2-piece molecular cluster, C4H6NO2 overall in a non-equilibrium geometry (ωB97M-V/def2-TZVPD).

Structure (XYZ):
```
13
Properties=species:S:1:pos:R:3:forces:R:3
C 1.61243 -0.58852 -0.08197 -1.23 -1.06 0.88
C 2.97075 -0.86204 0.17455 0.85 0.28 -1.63
C 1.17717 0.73497 -0.22965 0.31 0.45 0.89
C -3.01478 -0.16946 0.01366 0.66 -0.07 -2.61
N 0.90289 1.84458 0.01979 -0.54 0.12 -1.09
O 0.48914 3.02781 -0.13003 0.24 -0.22 0.30
O 3.93829 -0.10182 -0.10467 -0.87 -0.76 0.86
H 0.77202 -1.31117 0.18191 1.45 0.75 -0.35
H 3.20741 -1.91911 0.48028 -0.24 0.44 0.16
H -2.55378 0.37226 0.80506 -0.35 0.01 1.11
H -3.54711 0.50761 -0.65459 0.53 0.58 -0.13
H -3.77770 -0.91008 0.08416 -0.26 -0.84 1.43
H -2.17673 -0.62504 -0.55849 -0.55 0.33 0.19
```
Forces are in eV/Å.

Results
E_LUMO in eV: 3.60
Total charge: -1
Kohn-Sham gap in eV: 6.64
Energy relative to the best compared isomer or geometry (same formula, charge and spin) in kcal per mole: 83.8

Listed below, in e, are the Löwdin charges computed for each atom: number 1, C, carries -0.182; number 2, C, carries -0.432; number 3, C, carries -0.087; number 4, C, carries -0.046; number 5, N, carries -0.131; number 6, O, carries -0.183; number 7, O, carries -0.137; number 8, H, carries 0.070; number 9, H, carries 0.084; number 10, H, carries 0.010; number 11, H, carries 0.011; number 12, H, carries -0.005; number 13, H, carries 0.027

~~~~~

Entry 1:
Molecular formula: C3H9N2O
Method: DFT, ωB97M-V/def2-TZVPD

The HOMO energy (alpha / beta) is -3.139 / -10.419 eV. The expectation value of S² is 0.751. The calculation puts the LUMO energy (alpha / beta) at 0.0219 / 0.0144 Eh. The molar mass is 89.12 g/mol. For the frontier orbital gap (alpha / beta), the calculation gives 3.73 / 10.81 eV. The multiplicity is 2. The value obtained for the relative energy (zero: lowest compared OMol25 entry of this formula, charge and spin) is 250.69 kJ/mol.

XYZ file:
```
15
Properties=species:S:1:pos:R:3:forces:R:3
O 0.273975 1.938626 0.412856 -2.8 -0.5 1.2
N 1.289194 0.397227 -0.956043 1.4 -1.7 -0.3
N -1.400240 0.812809 1.496840 -2.0 -2.3 -0.3
C -0.027061 -1.491738 -0.115505 1.4 -3.1 -1.0
C -0.052518 -0.090408 -0.622744 -0.7 0.6 2.4
C -0.514386 0.951503 0.483124 3.5 1.4 -0.9
H 0.882788 -1.728814 0.515257 -0.8 0.2 -1.1
H 1.325288 1.271857 -1.431377 -0.7 1.2 -1.6
H -1.525710 1.607205 2.104098 0.1 0.0 -0.1
H -0.786845 -1.557448 0.568919 -2.1 -0.2 1.9
H -0.316691 -2.423488 -0.835633 1.3 2.5 1.1
H -0.629024 -0.035738 -1.511552 -0.7 0.3 -1.0
H -2.107015 -0.002915 1.629800 2.0 2.1 -0.7
H 1.713310 -0.363109 -1.589755 0.3 0.7 0.3
H 1.874933 0.714430 -0.148284 -0.2 -1.2 0.1
```
Positions in Å, forces in eV/Å.


Entry 2:
Molecular formula: C3H10N3
Method: DFT, ωB97M-V/def2-TZVPD

The HOMO energy is -13.010 eV. The calculation puts the LUMO energy at -0.1341 Eh. The molar mass is 88.13 g/mol. For the frontier orbital gap, the calculation gives 9.36 eV. The charge is +1. The value obtained for the relative energy (zero: lowest compared OMol25 entry of this formula, charge and spin) is 488.75 kJ/mol.

XYZ file:
```
16
Properties=species:S:1:pos:R:3:forces:R:3
N 1.727623 -0.285732 -0.158134 0.5 0.5 -1.2
N 1.987603 0.930118 -0.282460 0.2 1.8 -0.4
N -1.394444 -0.566674 -0.712549 -1.6 -1.9 0.6
C 0.949863 -0.836355 0.706991 1.6 -0.6 0.3
C -2.550140 -0.451166 0.241700 0.5 -0.3 -0.6
C 2.852651 1.871718 -0.301938 -0.4 -1.3 1.7
H -2.286693 -0.883627 1.191780 0.2 -0.5 0.1
H -1.525937 -1.470228 -1.192333 1.4 0.1 0.5
H 0.910664 -0.510129 1.708598 -0.6 0.9 1.2
H -2.531878 0.582368 0.367227 -1.2 1.8 0.6
H 0.968109 -1.878101 0.550817 -0.6 -1.3 0.0
H -3.460129 -0.892458 -0.170720 0.2 0.4 0.1
H 2.460560 2.841326 -0.590035 0.4 -0.1 -0.3
H -1.387006 0.082748 -1.436857 -0.7 1.8 -1.7
H 3.814127 1.782715 0.256622 -0.5 0.0 -0.8
H -0.534972 -0.316523 -0.178708 0.6 -1.5 -0.1
```
Positions in Å, forces in eV/Å.


Entry 3:
Molecular formula: C4H7B3ClHfNO7
Method: DFT, ωB97M-V/def2-TZVPD